Story by Jana Inglehart
Above photo: Guatemalan Deaconess Graduates
Photography by Johanna Heidorn except where otherwise noted
oncordia the Reformer Seminary’s deaconess program provides training for women in five Latin American countries: the Dominican Republic, Guatemala, Mexico, Panama and Venezuela.
The three-year course of study consists of online classes with seminary professors and in-person sessions taught by a local pastor and deaconess mentor. In addition, seminary professors regularly travel to each country to teach intensive courses on subjects such as the Augsburg Confession, the Old Testament, Luther’s Small Catechism, diaconal care, and the Divine Service and the life of the church, to list a few. In all classes, the ladies are encouraged to ask questions and engage in discussion. Outside the classroom, they complete assigned readings and projects and put their new skills into practice with the supervision of the local pastor and deaconess mentor. Once they pass their final written and practical exams, they graduate and are commissioned as deaconesses in their home country.

A deaconess student in Guatemala reads from the Bible during a class
Student deaconesses in Latin America must overcome multiple challenges to attend these classes. Intermittent electricity and poor internet service are common hindrances. Sometimes, the only internet source is a phone, so two or more students may share one cell phone while attending an online class. Since some students live quite a distance from the class location, and most ladies do not drive or own a personal vehicle, securing transportation to and from the in-person intensives is quite a challenge. Finally, a number of our students are working professionals, so they begin their studies late in the evening, exhausted after a full day of work at their job and caring for the needs of their families.

Unrelated to this entry: data records.
A plane-wave DFT calculation with PBE-GGA was carried out for crystalline TlOs2Pb at its relaxed geometry. Values from VASP.

The structure in Quantum ESPRESSO input format:
```
&SYSTEM
  ibrav = 0, nat = 4, ntyp = 3
/
ATOMIC_SPECIES
Os 190.23 Os.upf
Pb 207.20 Pb.upf
Tl 204.38 Tl.upf
CELL_PARAMETERS angstrom
-1.707 -4.417 -0.666
2.295 -3.040 -2.891
2.314 -3.760 1.836
ATOMIC_POSITIONS angstrom
Os 0.000 0.000 0.000
Os 2.176 -8.412 -1.290
Pb 1.451 -5.608 -0.860
Tl 0.725 -2.804 -0.430
```

Results
The calculation puts the density at 17.0 g cm⁻³. As for the electronic total energy: -5.846 eV per atom. The calculation puts the energy of formation from the pure elements at 1.287 eV per atom. The calculation puts the energy above the most stable polymorph in this dataset at 2.97 eV per formula unit.

=====

Below is crystalline LaGdPd at its relaxed geometry, with properties calculated at the PBE level.

abc: 7.1126 7.1126 7.1126
angles: 90.00 90.00 90.00
Space group F-43m (No. 216)
Symmetry-distinct sites (fractional):
La: 0.0000 0.0000 0.0000
Gd: 0.0000 0.0000 0.5000
Pd: 0.2500 0.2500 0.2500

Excess energy over the best structure of this formula in the dataset in eV per formula unit: 0.26
M_tot in μB per atom: 2.457
ρ in g cm⁻³: 7.43
Total energy in eV per cell: -101.797
DOS(E_F) in states/eV/f.u.: 4.83
Formation enthalpy at 0 K in eV per atom: -0.416

=====

Compound: FeCuP2S
Source: the Alexandria database
Functional: GGA-PBE
Structure: relaxed

a b c (Å): 4.4314 4.4314 4.5927
angles (deg): 90.00 90.00 90.00
Last column: nearest neighbours and their distance in Å.
Element x y z (fractional)
1 Fe 0.0000 0.0000 0.0000  4 S 3.13, 8 P 3.19
2 Cu 0.5000 0.5000 0.5000  4 P 2.22, 2 S 2.30
3 P 0.0000 0.5000 0.5000  2 Cu 2.22
4 P 0.5000 0.0000 0.5000  2 Cu 2.22
5 S 0.5000 0.5000 0.0000  2 Cu 2.30

Properties
The value obtained for the volume is 90.2 Å³/f.u. Its density of states at the Fermi level is 1.16 states/eV per atom. The value obtained for the offset from the most stable computed form is 2.20 eV per formula unit. The density is 3.9 Mg/m³. For the raw formation energy, the calculation gives 1.04 eV per atom. For the total energy, the calculation gives -4.460 eV/atom.

=====

# 1
TbCeSm2Se6 (PBE, optimized geometry); total DFT energy (no corrections) = -59.11 eV per cell; size of the total moment = 1.02 μB per cell; formation energy from raw total energies = -1.820 eV per atom; V = 310.6 Å³ per cell
1.0
-3.8515 1.1083 6.2019
1.4713 -4.0067 6.0256
3.5987 3.5376 5.9981
Se Sm Ce Tb
6 2 1 1
Direct
0.2182 0.9228 0.2509
0.4099 0.7153 0.7532
0.6081 0.2182 0.2509
0.9228 0.6081 0.2509
0.7153 0.1215 0.7532
0.1215 0.4099 0.7532
0.0152 0.0152 0.9544
0.5174 0.5174 0.4477
0.8152 0.8152 0.5546
0.3179 0.3179 0.0463

# 2
Tb2CeSm3Se6 (PBE, optimized geometry); total DFT energy (no corrections) = -71.95 eV per cell; size of the total moment = 0.85 μB per cell; formation energy from raw total energies = -1.807 eV per atom; V = 303.5 Å³ per cell
1.0
7.1941 -0.0114 -0.0045

Deaconess students in Panama begin an evening session (Photographs by Jana Inglehart)
We give thanks to the Lord of the Harvest, who continues to raise up laborers as He has done in the case of these dedicated women who are a force for mercy in our missions, congregations and communities.
Rev. Ted Krey, Regional Director of the Latin America & Caribbean Region
The class of 2022 was especially large due to the limitations imposed on meetings and gatherings over the past two years. When countries finally lifted restrictions and students could gather for classes, they were eager to complete their interrupted course of study. As a result, the deaconess classes were packed during the past academic year.

• Data records from another source follow:
~~~
Below is an optimized crystal structure of MnZnNF2, with properties calculated at the PBE+U level.

```
data_MnZnNF2
_chemical_formula_sum 'Mn1 Zn1 N1 F2'
_space_group_name_H-M_alt 'P 1'
_space_group_IT_number 1
_cell_length_a 3.9593
_cell_length_b 3.9593
_cell_length_c 4.0467
_cell_angle_alpha 90.00
_cell_angle_beta 90.00
_cell_angle_gamma 90.00
loop_
_space_group_symop_operation_xyz
'x,y,z'
loop_
_atom_site_label
_atom_site_type_symbol
_atom_site_fract_x
_atom_site_fract_y
_atom_site_fract_z
Mn1 Mn 0.0000 0.0000 0.0000
Zn1 Zn 0.5000 0.5000 0.5000
N1 N 0.0000 0.0000 0.5000
F1 F 0.0000 0.5000 0.0000
F2 F 0.5000 0.0000 0.0000
```

Computed properties:
The value obtained for the offset from the most stable computed form is 0.00 kJ per mole of atoms.

* * * * *

# 1
Material: CrCoSi2
Method: DFT, PBE-GGA
State: relaxed

Structure (CIF):
```
data_CrCoSi2
_chemical_formula_sum 'Cr4 Co4 Si8'
_cell_length_a 6.4066
_cell_length_b 6.4066
_cell_length_c 5.2294
_cell_angle_alpha 90.00
_cell_angle_beta 90.00
_cell_angle_gamma 90.00
_space_group_name_H-M_alt 'I -4 2 d'
_space_group_IT_number 122
_space_group_name_Hall 'I -4 2bw'
loop_
_atom_site_label
_atom_site_type_symbol
_atom_site_fract_x
_atom_site_fract_y
_atom_site_fract_z
_atom_site_occupancy
Cr1 Cr 0.0000 0.0000 0.0000 1
Co1 Co 0.0000 0.0000 0.5000 1
Si1 Si 0.2198 0.7500 0.6250 1
```


# 2
Material: Rb3Y3NpSe8
Method: DFT, PBE-GGA
State: relaxed

Structure (CIF):
```
data_Rb3Y3NpSe8
_chemical_formula_sum 'Rb9 Y9 Np3 Se24'
_cell_length_a 8.4075
_cell_length_b 8.4075
_cell_length_c 24.4214
_cell_angle_alpha 90.00
_cell_angle_beta 90.00
_cell_angle_gamma 120.00
_space_group_name_H-M_alt 'R -3 m'
_space_group_IT_number 166
_space_group_name_Hall '-R 3 2"'
loop_
_atom_site_label
_atom_site_type_symbol
_atom_site_fract_x
_atom_site_fract_y
_atom_site_fract_z
_atom_site_occupancy
Rb1 Rb 0.0000 0.5000 0.0000 1
Y1 Y 0.0000 0.5000 0.5000 1
Np1 Np 0.0000 0.0000 0.5000 1
Se1 Se 0.0000 0.0000 0.2316 1
Se2 Se 0.0039 0.5020 0.2304 1
```


# 3
Material: CrBiRu2S
Method: DFT, PBE-GGA
State: relaxed

Structure (CIF):
```
data_CrBiRu2S
_chemical_formula_sum 'Cr1 Bi1 Ru2 S1'
_cell_length_a 4.9591
_cell_length_b 4.9591
_cell_length_c 5.1421
_cell_angle_alpha 90.00
_cell_angle_beta 90.00
_cell_angle_gamma 90.00
_space_group_name_H-M_alt 'P 4/m m m'
_space_group_IT_number 123
_space_group_name_Hall '-P 4 2'
loop_
_atom_site_label
_atom_site_type_symbol
_atom_site_fract_x
_atom_site_fract_y
_atom_site_fract_z
_atom_site_occupancy
Cr1 Cr 0.0000 0.0000 0.0000 1
Bi1 Bi 0.5000 0.5000 0.5000 1
Ru1 Ru 0.0000 0.5000 0.5000 1
S1 S 0.5000 0.5000 0.0000 1
```


# 4
Material: TiSb2SeF
Method: DFT, PBE-GGA
State: relaxed

Structure (CIF):
```
data_TiSb2SeF
_chemical_formula_sum 'Ti1 Sb2 Se1 F1'
_cell_length_a 5.4230
_cell_length_b 5.4230
_cell_length_c 3.8434
_cell_angle_alpha 90.00
_cell_angle_beta 90.00
_cell_angle_gamma 90.00
_space_group_name_H-M_alt 'P 4/m m m'
_space_group_IT_number 123
_space_group_name_Hall '-P 4 2'
loop_
~~~
• Back to the article:

Above, left to right: Deaconess intensive classes in Mexico taught by Rev. Ted Krey and Deaconess Rachel Jaseph. Deaconess Danelle Putnam Schumann teaches an intensive class in Guatemala.
We rejoice with our graduates who overcame obstacles and delays to complete their coursework. Thanks be to God, nearly a hundred women are now 2022 graduates of the seminary’s deaconess program.
“We give thanks to the Lord of the Harvest, who continues to raise up laborers as He has done in the case of these dedicated women who are a force for mercy in our missions, congregations and communities,” said the Rev. Ted Krey, regional director of the Latin America and Caribbean region and head of the seminary’s deaconess program.

Top left: Rev. Joel Fritsche, Director of Concordia the Reformer Seminary, congratulates new graduates with Deaconess Danelle Putnam Schumann, and Rev. Ted Krey on the far left. Top right: New graduates in Guatemala smile during the recessional hymn. Bottom Left: Deaconess Danelle Putnam Schumann hugs a new graduate. Bottom right: Rev. Joel Fritsche and Deaconess Danelle Putnam Schumann congratulate new deaconess graduate.
These new deaconesses will work alongside local pastors and church workers. In their role, they share God’s Word as they visit members and engage in acts of mercy. They often assist those in the community who are marginalized or in need. Therefore, their training includes the areas of mercy, Christian education, and spiritual care for women and children, so their service can be shaped by the needs of various congregations or mercy houses. For example, while one deaconess may be involved in disability ministry, another may focus on the hungry, the aged, or the disadvantaged.

Deaconess graduates in Panama enjoy a few moments of levity prior to the graduation service (Photographs by Jana Inglehart)
Some of our recent graduates are finding creative ways to reach the unchurched. One congregation in Panama is blessed with a new deaconess graduate who teaches weekly painting classes for children and adults. The relaxed atmosphere offers the ideal opportunity for the pastor and deaconess to share the Gospel, build relationships with prospective members, and invite them to church or other Bible study opportunities.
“We are thankful that so many women were able to be formed as deaconesses to serve in their congregations and in their communities, sharing the love of Christ through Christian education, spiritual care and works of mercy,” said Deaconess Danelle Putnam Schumann, the associate deaconess program coordinator. “They will be a great help to their pastor as they seek to reach those in need with the saving Gospel of Jesus.”

Next to the piece, the page also holds crystal structures.
/*
CsRb2Ag2 | Alexandria via LeMat-Bulk | GGA-PBE | optimized geometry; energy relative to the elements = 0.09 eV per atom; energy relative to the lowest polymorph listed for this composition = 26 meV/atom
1.0
5.730 0.000 0.000
0.000 5.730 0.000
2.865 2.865 7.624
Rb Ag Cs
2 2 1
Cartesian
2.865 5.730 3.812
5.730 2.865 3.812
2.865 2.865 1.409
5.730 5.730 6.215
0.000 0.000 0.000


DFT (PBE) results for crystalline YZrNi2 at its relaxed geometry.

Cell lengths 3.302, 3.299, 6.684 Å; angles 90.00, 90.00, 90.00 degrees
Positions (direct):
Y 0.500 0.500 0.250
Ni 0.000 0.000 0.960
Ni 0.000 0.000 0.540
Zr 0.500 0.500 0.750

DOS(E_F): 1.0989 states/eV per atom
Final energy: -7.017 eV per atom
*/
Back to the piece.

Nearly a hundred women from the Dominican Republic, Venezuela, Panama, Mexico and Guatemala, are now graduates of Concordia the Reformer Seminary’s deaconess program.